1780 June 1 (Thursday). Mr. Cushing Sets out for Ashburnham. I again go to the Meeting House to assist the Towns Men in their making Reply to the Convention at Boston, and Breck is desired to transcribe it for Capt. Fisher to carry with him. A variety of Company interrupts and discomposes me. I read in Biog’r. Dictionary. At Eve Mr. Elias Harding and Thankful Forbes marryed.
Month: June 1780
June 2, 1780
1780 June 2 (Friday). Though it is Friday, I seem obliged to go out and look after my Affairs. My Cattle begin to be unruly. I went to Mr. Isaac Parker’s to see what he would do about working for me instead of his Br. Ephraim, some of whose Time remains to be made up, and to make some Agreement with him to take my Young Oxen to keep. Elias goes to Hopkinton again with Mr. Cushing’s Horse with him for Mrs. Cotton, who comes here at evening. Mr. Hazeltine waits on Miss Nabby Martyn and two of Squire Baker’s Daughters, and Miss Mindwell Brigham who all (of the last) drink Tea here. Dr. Gershom Brigham makes me a visit respecting the Baptism of his new-born Twins. Mrs. Cotton lodges here. I am much prevented studying.
June 3, 1780
1780 June 3 (Saturday). Ensign Snow brings his Dismission from Southborough and desires to be admitted into the Church here. N.B. Frederic Lock who works for me today in moving and setting up a Fence at the Island to make a Lane from the Road to my Pasture, meets with a Disappointment by the unruliness of my Steers, and leaves the Work undone — which prevents my pasturing my Cows there.
June 4, 1780
1780 June 4 (Sunday). Read Zechariah II. Preached a. and p.m. on Luke 16.23 and by divine Help, I accomplished the whole. I humbly ask the Grace and Power of God may be magnifyed in the Awakening of many Souls! In the eve read part of another Sermon of Mr. Flavell’s on Rev. 3.20. N.B. Dr. Hawes has brought me from my son Samuel, Melmoth’s Sublime and beatif. Mr. Ripley of Concord is the Proprietor.
• Data records that have nothing to do with the page:
┌──
Model P:
An optimized crystal structure of Na5Ni2P2C2O14. Source: Materials Project, functional GGA+U.

POSCAR file:
```
Na5Ni2P2C2O14
1.0
8.853 0.000 0.000
0.000 6.661 0.000
-0.273 0.000 10.405
Na Ni P C O
10 4 4 4 28
Cartesian
0.727 1.665 1.149
2.169 0.047 3.966
2.169 3.284 3.966
2.164 0.081 9.007
2.164 3.249 9.007
6.416 3.412 1.398
6.416 6.580 1.398
6.411 3.377 6.439
6.411 6.614 6.439
7.853 4.996 9.256
3.034 4.996 1.142
2.914 4.996 6.353
5.666 1.665 4.052
5.547 1.665 9.263
3.659 1.665 1.472
3.541 1.665 6.669
5.039 4.996 3.736
4.921 4.996 8.933
0.522 4.996 1.473
0.408 4.996 6.704
8.172 1.665 3.701
8.058 1.665 8.932
0.582 1.665 3.521
0.476 1.665 8.829
1.093 4.996 0.289
0.974 4.996 5.545
1.340 4.996 2.487
1.224 4.996 7.730
2.791 0.429 1.094
2.791 2.902 1.094
2.707 0.414 6.290
2.707 2.916 6.290
3.667 4.996 4.459
3.557 4.996 9.662
3.921 1.665 3.019
3.796 1.665 8.218
4.785 4.996 2.187
4.660 4.996 7.386
5.023 1.665 0.743
4.913 1.665 5.946
5.874 3.745 4.115
5.874 6.247 4.115
5.789 3.759 9.311
5.789 6.233 9.311
7.356 1.665 2.675
7.241 1.665 7.918
7.607 1.665 4.860
7.487 1.665 10.116
8.105 4.996 1.576
7.999 4.996 6.884
```

## Properties
Crystal system ... monoclinic
Space-group type ... No. 11


Model Q:
An optimized crystal structure of Na5Ni2P2C2O14. Source: Materials Project, functional GGA+U.

POSCAR file:
```
Na5Ni2P2C2O14
1.0
5.176 0.000 0.000
0.247 8.880 0.000
0.005 0.037 13.321
Na Ni P C O
10 4 4 4 28
Cartesian
1.274 3.735 4.988
1.442 6.693 0.100
1.479 6.786 3.244
1.491 6.830 9.927
1.511 6.874 6.705
3.918 2.044 6.616
3.937 2.088 3.395
3.950 2.132 10.078
3.986 2.225 13.221
4.154 5.183 8.333
1.191 1.378 8.338
1.194 1.348 1.642
4.234 7.570 11.679
4.237 7.539 4.983
1.479 0.721 11.659
1.492 0.755 4.992
3.937 8.163 8.329
3.950 8.196 1.662
1.588 3.889 8.328
1.586 3.761 1.655
3.842 5.157 11.666
3.840 5.028 4.994
0.398 3.365 8.317
0.409 3.192 1.647
0.951 8.258 11.678
0.976 8.295 4.973
1.133 1.627 6.234
1.141 1.642 3.761
1.163 1.582 12.896
1.166 1.552 10.400
1.726 5.007 1.700
1.756 5.166 8.304
2.403 8.455 8.320
2.405 8.535 1.668
2.575 2.910 1.646
2.603 3.071 8.336
2.825 5.847 4.985
2.854 6.008 11.675
3.023 0.383 11.653
3.025 0.463 5.001
3.672 3.752 5.017
3.702 3.911 11.622
4.262 7.365 2.921
4.266 7.336 0.425
4.287 7.276 9.560
4.295 7.291 7.088
4.453 0.623 8.348
4.477 0.660 1.643
5.019 5.726 11.674
5.030 5.553 5.004
```

## Properties
Crystal system ... triclinic
Space-group type ... No. 2


Quick one: least stable of them? model Q


Model P:
An optimized crystal structure of Na5Ni2P2C2O14. Source: Materials Project, functional GGA+U.

POSCAR file:
```
Na5Ni2P2C2O14
1.0
8.439 0.000 0.000
-2.029 8.202 0.000
-3.039 -3.896 8.828
Na Ni P C O
10 4 4 4 28
Cartesian
-1.680 3.092 2.038
-2.920 4.337 5.152
0.834 1.145 2.122
-0.545 -0.846 6.807
1.414 7.129 2.093
1.957 -2.823 6.735
3.916 5.151 2.021
2.537 3.160 6.706
6.291 -0.032 3.676
5.051 1.214 6.790
-1.601 6.064 1.356
-0.286 2.338 7.469
3.657 1.967 1.359
4.972 -1.759 7.472
-3.071 4.158 8.114
1.207 4.239 0.719
└──
• The data records stop here:
June 5, 1780
1780 June 5 (Monday). Hear that Mr. Henry Quincy is dead! If so, I heartily sympathize with my old Friend, his Father.
June 6, 1780
1780 June 6 (Tuesday). Elias setts out on Breck’s Horse for Cambridge. I gave him to pay his Quarter bills and other Expenses, to be used with the utmost Prudence, Eight hundred Dollars. Mr. William Knight of Boston, Chandler made me a Visit, so did Mr. Grosvenor of Grafton, whom, to my Joy, I now hear, speak with much Audibleness and plainness. They dine with me. After dinner, I rode with Mr. Knight in his Chaise to Mr. Gale’s, and preached there, on Eph. 5.2, those words “As Christ Also hath loved us, and hath given Himself for us.” Had to my Grief, but a small Company, but it was chiefly occasioned by his aged Mother’s long Confinement.
June 7, 1780
1780 June 7 (Wednesday). Breck goes to Boston. Rides with Mr. Gale. I wrote to Mrs. P________ by my Son; and by him sent my Watch to Mr. Cranch to be mended. In much perplexity about my Cattle which are missing; nor have they been seen ever since some time Yesterday; late in the day they are brought home. Am reading The Sublime and Beautiful of Scripture. Mr. Jonathan Forbes at Eve. His Heart is Friendly toward me under my Suffering by the depreciations.
June 8, 1780
1780 June 8 (Thursday). Though Things are Dark as to outer Circumstances, yet God is my Refuge. I would beg Grace to hope and trust in Him! Squire Baker came and invites me to the Raising of a Grist Mill and a Saw Mill. I went. The Company was double, but all supped together at Mr. Rider’s. No evil Occurrence befell anyone. D.G. In the latter part of the Day came Mrs. P________ from Boston with various Tidings in her Mouth. First the joyful that Sally was
June 9, 1780
1780 June 9 (Friday). Safely delivered, and had been favoured with a comparatively easy Travel, has a fine fat Daughter, and very like to do well. The praise to God for all His Mercys! But the sorrowful news is from the Harbour of Cape Anne, that Mrs. Forbes departed on Monday night last, in Child bed. She had been delivered of a Dead Child about two Hours before. A sad loss to my poor Son-in-law! The Lord sustain him! and pity the Motherless Children, for there are pritty many of them — hope they will all find Mercy! I am informed that Mr. William Parkman, Grandson of my Brother, lives in the Antient Mansion.
June 10, 1780
1780 June 10 (Saturday). [No entry.]
-- Next to the entry, the page also holds crystal structures --
┌──
Entry 1:
Below is a geometry-optimized ThSi2Au2 structure, with properties calculated at the PBE-GGA level.

Symmetry: No. 139

Cell: 5.9950 5.9950 5.9950 Å, 137.51 137.51 61.66°
Positions (direct):
Si (0.6130, 0.6130, 0.0000)
Si (0.3870, 0.3870, 0.0000)
Th (0.0000, 0.0000, 0.0000)
Au (0.2500, 0.7500, 0.5000)
Au (0.7500, 0.2500, 0.5000)

***

Entry 2:
Below is a geometry-optimized K2YAgF6 structure, with properties calculated at the PBE-GGA level.

Symmetry: No. 225
E (MP2020): -5.464 eV/atom

Cell: 6.5233 6.5233 6.5233 Å, 60.00 60.00 60.00°
Positions (direct):
F (0.7360, 0.2640, 0.7360)
F (0.7360, 0.2640, 0.2640)
F (0.2640, 0.7360, 0.2640)
F (0.2640, 0.7360, 0.7360)
F (0.2640, 0.2640, 0.7360)
F (0.7360, 0.7360, 0.2640)
K (0.7500, 0.7500, 0.7500)
K (0.2500, 0.2500, 0.2500)
Y (0.5000, 0.5000, 0.5000)
Ag (0.0000, 0.0000, 0.0000)

***

Entry 3:
Below is a geometry-optimized Eu3B2O6F3 structure, with properties calculated at the PBE-GGA level.

Symmetry: No. 15
E (MP2020): -8.999 eV/atom

Cell: 7.2777 7.2777 8.4048 Å, 84.23 84.23 52.11°
Positions (direct):
F (0.6248, 0.2717, 0.0420)
F (0.2717, 0.6248, 0.5420)
F (0.3752, 0.7283, 0.9580)
F (0.9800, 0.0200, 0.7500)
F (0.7283, 0.3752, 0.4580)
F (0.0200, 0.9800, 0.2500)
O (0.1228, 0.5740, 0.1282)
O (0.8179, 0.7030, 0.4238)
O (0.2970, 0.1821, 0.0762)
O (0.5740, 0.1228, 0.6282)
O (0.1821, 0.2970, 0.5762)
O (0.4378, 0.2571, 0.3580)
O (0.4260, 0.8772, 0.3718)
O (0.8772, 0.4260, 0.8718)
O (0.2571, 0.4378, 0.8580)
O (0.7030, 0.8179, 0.9238)
O (0.5622, 0.7429, 0.6420)
O (0.7429, 0.5622, 0.1420)
Eu (0.0621, 0.2811, 0.3198)
Eu (0.6064, 0.3936, 0.7500)
Eu (0.3936, 0.6064, 0.2500)
Eu (0.2811, 0.0621, 0.8198)
Eu (0.9379, 0.7189, 0.6802)
Eu (0.7189, 0.9379, 0.1802)
B (0.5994, 0.7665, 0.4796)
B (0.4006, 0.2334, 0.5204)
B (0.7665, 0.5994, 0.9796)
B (0.2334, 0.4006, 0.0204)

***

Entry 4:
Below is a geometry-optimized LiSiBiO4 structure, with properties calculated at the PBE-GGA level.

Symmetry: No. 62
E above lowest polymorph: 0.000 eV/atom
E (MP2020): -6.956 eV/atom

Cell: 4.9248 6.8252 10.7913 Å, 90.00 90.00 90.00°
Positions (direct):
O (0.2540, 0.2500, 0.0581)
O (0.2248, 0.7500, 0.5765)
O (0.2558, 0.4372, 0.8417)
O (0.7558, 0.5628, 0.6583)
O (0.7558, 0.9372, 0.6583)
O (0.2752, 0.7500, 0.0765)
O (0.7460, 0.7500, 0.9419)
O (0.7248, 0.2500, 0.9235)
O (0.2442, 0.0628, 0.3417)
O (0.7752, 0.2500, 0.4235)
O (0.2442, 0.4372, 0.3417)
O (0.7442, 0.9372, 0.1583)
O (0.2460, 0.2500, 0.5581)
O (0.7442, 0.5628, 0.1583)
O (0.7540, 0.7500, 0.4419)
O (0.2558, 0.0628, 0.8417)
Li (0.5000, 0.5000, 0.5000)
Li (0.5000, 0.0000, 0.5000)
Li (0.0000, 0.0000, 0.0000)
Li (0.0000, 0.5000, 0.0000)
Bi (0.9499, 0.2500, 0.7217)
Bi (0.4499, 0.7500, 0.7783)
Bi (0.0501, 0.7500, 0.2783)
Bi (0.5501, 0.2500, 0.2217)
Si (0.3958, 0.2500, 0.9196)
Si (0.6042, 0.7500, 0.0804)
Si (0.1042, 0.2500, 0.4196)
Si (0.8958, 0.7500, 0.5804)

***

no.,E_form (kJ per mole of atoms),DFT total energy (eV/atom)
1,-53.3,-5.51
2,-305.2,-5.19
3,-320.0,-8.61
4,-243.7,-6.56
└──
June 11, 1780
1780 June 11 (Sunday). My son Samuel’s Chaise being here, Breck rides with me to Northborough. I preached there on 2 Cor. 5.1 — a Building of God etc. P.M. on Col. 3.1-2 “Sett your Affections etc.” Mr. Whitney here on being saved by Hope. N.B. The Congregation sung without Reading lineally. I baptized Mary, an infant of William and [blank] Brigham. We each of us returned home at evening. Coll. Cushing has been here to raise Recruits here for the Army at New York.
June 12, 1780
1780 June 12 (Monday). Visited Mr. Simeon Bellows (who was prayed for yesterday), being confined by various Disorders. I dined there, prayed with them. Visited at eight of the houses of that Corner, as far as to Mr. Belknaps. Mr. Elijah Brigham and Sophy rid in Sam’s Chaise to Hopkinton, Visiting Dr. Stimson. They returned here at night.
June 13, 1780
1780 June 13 (Tuesday). Wrote to my son Ebenezer at Head Quarters, Morris Town New Jersie. Was at Deacon Woods. N.B. We discoursed of the late Deacon Tainter’s Legacy of fifty pounds old tenor, to this Church.
June 14, 1780
1780 June 14 (Wednesday). I should have depended upon Mr. Grosvenor to preach for me today, but it was too foul weather. I preached myself on Ps. 63.8 to page 5 and part of the Additions at the bottom continued for several Pages. By Desire of the Deacons the church Stopped: The Business was to Consider of Mr. B. Tainter’s Note of Hand, by which he is bound, to pay the Legacy his Father left. Deacon Bond put it to vote, whether they would do anything about that Note? It went negatively, for there was no Hand lifted up that I saw.
June 15, 1780
1780 June 15 (Thursday). No certain news yet that Charlestown, South Carolina, is taken, but reasons to fear it is, are greatly increased. Sad accounts from the West on Mohawk River. May it please God to extend Pity and Compassion to them, as their case may be and fit us in these parts, for His Sovereign Will! Finish reading Courtney Melmoth’s Sublime and beautiful of Scripture.
June 16, 1780
1780 June 16 (Friday). Mr. Abraham Holland and Miss Crosby visit here. I purchase of him Lord Somers on Government entitled “The Judgment of Kin[gdom]s and Nations concerning the Rights etc. of Kings and the Rights etc. of the People.” I gave Mr. Holland for this eminent Book, Mr. Prince’s Compendium Logical and 3 Pamphlets besides. Mrs. Snow and Mrs. (wife of William) Johnson. The former desires to be propounded for admission etc. Suse goes to her Father’s with a view to Wean her child. Further Alarms — more men called for.
June 17, 1780
1780 June 17 (Saturday). Capt. Fisher returns from Boston: informs that two thirds of the people of this State appear to accept of the Plan and Form of Government which the Convention had drawn up and recommended: That the Convention is Dissolved; and that some very important letters from Congress and from Gen’l Washington had arrived; and recommended most immediate and vigorous Exertions in raising men and furnishing Provisions for the Army. He also brings a Letter from Elias, who writes that as the Conclusion of all Collegiate Exercises was at 3 o’clock the afternoon of the 13th, and no public Performances to be on the 21st as was expected, by reason of the immense Expense of necessarys there, so there is nothing to hinder his returning home on Monday next etc.
June 18, 1780
1780 June 18 (Sunday). Read Ps. 63. Preached on Ps. 63.8. Administered the Lord’s Supper. Mrs. Maynard and Mrs. Davis dined here. P.M. on Ps. 133.3.
June 19, 1780
1780 June 19 (Monday). Dr. Hawes rides down to Court designing (as I suppose) that Elias shall ride up from Cambridge on his Horse.
June 20, 1780
1780 June 20 (Tuesday). The Association was at my House, but we were only Three. Mr. Stone and Mr. Whitney. They would maintain Order and therefore had a Moderator, who prayed and gave an abstract of an Exercise on Ps. 133. N.B. While we were dining came in Elias from Cambridge. The reason of Mr. Smith’s absence was his very low afflicted State of Body. Perhaps for the same reason his son Bridge, is absent. Mr. Newel Raises an House today, and Mr. Whitney makes Haste back to Northborough to carry Nails for his. Mr. Samuel Thurston here and was examined. Mr. Benj. Tainter and Sons, with their Wives and Children, Goods etc. move from Westborough and try to go towards New Fane.
June 21, 1780
1780 June 21 (Wednesday). Took an Opportunity to reckon with Elias, as to his Expenses. I found there was so great Alteration of Times, Customs and Charges as was very astonishing — especially considering that no alteration was made by the Constable, or the Town as to what is paid to me. Read the Life of the Celebrated Erasmus in Biogr. Dictionary. Rec[eiv]ed a letter from my Son Forbes dated the 6th containing an account of his Wife’s Death. I undertook to write him an answer to it — Great Difficulty in raising Men for the War. Twelve are called for, but 9 obtained: and yet (I hear) Orders are immediately for twelve more.
June 22, 1780
1780 June 22 (Thursday). My wife and Suse ride to her Father’s and to Capt. Jones’s. They bring home little Hannah, who has been Weaning. I walked to visit several Neighbours. Was at Mr. Newton’s, Parker’s, Warrins, Isaac Parkers (where I drank Tea). Davis’s, old Mr. Pratt’s. My Kinsman Lovering here from the Hamlet, and lodged here.
June 23, 1780
1780 June 23 (Friday). N.B. have been in uncommon Surprise at Elias’s wanting so large a Sum of Money as was called for to pay his Buttery Bill, which amounts to £321.6. I gave him 300 Dollars of my own, borrowed of Breck 620, and am obliged to send money for the Degree which must be 30/ hard Money, which at 60 for one (as now the Custom is) comes to 300 Dollars. These I receive of Breck, and offer him 5 Milled Dollars. So that I now give Elias 1220 Dollars, and he goes to Cambridge to clear off and finish there. Lovering goes on his journey to Westfield. N.B. He gives strange account of several Praeternatural Births lately, and of the Worms destroying the Trees, in his Neighborhood.
June 24, 1780
1780 June 24 (Saturday). My son Elias returned home from Cambridge, having now finished at College, taken up my Bond which I gave to Stewart [i.e., Steward] Hastings, on Oct. 1, 1776.
June 25, 1780
1780 June 25 (Sunday). Read Zech 12. Preached on Luke 16, last v. P.M. read Luke 17. Repeated and preached on esp. v. 32. Which may God graciously bless! By Request of Selectmen and commanding Officers, I warned the Company of Soldiers to meet tomorrow morning at 7 o’clock. Mr. Elijah Brigham and Mrs. Susan Snow propounded.
June 26, 1780
1780 June 26 (Monday). The Town met, and the two Companys of Soldiers to raise men to go into the war — 15 to be compleated for six months, and there are orders for 14 for three months. Master Sam. Brigham and Winslow Maynard (son of the late James Jr. deceased) dined here. N.B. Mr. Gale takes account of the Acres I own in Westborough, viz. ab’t 66.
June 27, 1780
1780 June 27 (Tuesday). Sophy rides to Boston in her Brother Samuel’s Chaise. Josiah Brigham goes with her and carrys Suse Parkman to her Father’s. N.B. Sent by Sophy a letter to Mr. Forbes, Gloucester. Another to Mr. Thos. Adams at Medfield, also to Mr. Ripley, his Melmoth on Sublime and Beautiful of Script. Rev. Mr. Ebenezer Sparhawk of Templeton here, and dines with us. P.M. came Mrs. Sarah Thurston to be examined in order to her joining with the Church. Mr. Josiah Bowker and his Wife, with Deacon Wood’s Wife, make us a Visit, and drink Tea here.
June 28, 1780
1780 June 28 (Wednesday). The Companys meet again to raise Men. Mr. Thad. Warrin mows part of my Square — but is catched in the Rain. Two of the Selectmen, viz. Mr. Ebenezer Maynard and Mr. Tim Warrin here, to inform me that they are going to call a Town Meeting, and they ask me whether I would have any Thing put in, relative to my Circumstances. I consented that they should. Master Sam Brigham lodges here.
June 29, 1780
1780 June 29 (Thursday). I have the Comfort to have my square Piece of Grass mowed and the mower, Mr. Warrin dined with us. But the people are in trouble for they cant raise the men that are called for. Viz: 15 for Six months and 14 for three months. They meet again this afternoon. Old Mr. David Maynard and Deacon Wood here.
June 30, 1780
1780 June 30 (Friday). Josiah Brigham returns from Boston and Concord, with little Suse. Thus we finish this month, but with very gloomy and doubtful Apprehensions concerning the Events of the Next. But may a good God Support us!